Since almost every firm has several items in its product line, product line pricing becomes an important phase of pricing policy. The problem of product line pricing is to find the proper relationship among the prices of numbers of a product group. Product line pricing may refer to product group. Product line pricing may refer to products physically the same but sold under different conditions. This gives the seller an opportunity to charge different prices. Thus use differentials (e.g. hot coffee versus cold/iced coffee), seasonal differentials (e.g. night fights or night telephone calls), and style cycles differentials are all phases of product line pricing. The rationale for this heterodox approach to pricing is that the essential economic features of the product line is the cross-elasticity of demand that exist among parts of the seller’s output.
General Approach to Product Line Pricing
The underlying principle in product-line pricing is that demand elasticities and competitive situations rather than cost should form bases for determining the patterns of relative prices of the firm’s products, and the role of cost should be confined to set lower limits for price and to help select the price for the output combination that is most profitable. But in reality this principle is not widely employed in product-line pricing. Instead, firms fix prices in such a way that they are proportional to full cost (i.e. that produce the same percentage net profit margin for all products) or incremental cost (i.e. that produce the same percentage contribution — margin over incremental costs for all products) or with profit margins that are proportional to conversion cost. Prices are also set in such a way that type produce contribution margins that depend upon elasticity of demand of different market segments or that are systematically related to the stage of market and competitive development of individuals members of the product line.
Demand Relationship in the Product Line
1.
Here is C36H56As3ClCsN3O16PS2 as an isolated structure at a distorted geometry from the OMol25 dataset. Energies are from wB97M-V/def2-TZVPD.

Calculated values
Charge: -1
Orbital gap in eV: 7.69

```
119
Properties=species:S:1:pos:R:3:forces:R:3
Cs -0.04093 -1.30171 1.17155 -0.06 1.55 -0.26
O -1.74918 -2.11724 -0.58341 -0.88 -0.34 -1.19
S -3.24452 -2.14656 -0.63134 -0.11 0.12 0.33
C -3.68575 -3.72534 0.14164 -0.06 -0.16 -0.04
C -2.67192 -4.83291 -0.16778 -0.03 0.04 0.00
C -1.42577 -4.85169 0.74187 0.03 0.04 -0.26
C -0.16073 -5.32552 0.00393 -0.09 -0.12 0.09
S 0.39737 -4.15157 -1.25913 -0.36 0.21 0.07
O 1.06609 -3.09098 -0.46059 0.48 -0.43 -0.71
C 1.68825 -5.11832 -2.01650 0.09 -0.19 0.11
C 2.99538 -4.92372 -1.60099 0.00 -0.03 -0.07
C 4.00656 -5.64477 -2.22214 0.00 0.00 -0.01
C 3.70640 -6.53702 -3.24303 -0.02 0.00 0.01
C 2.39160 -6.71051 -3.65974 0.01 0.02 0.01
C 1.37512 -5.99086 -3.05030 0.03 0.00 0.04
C -3.68785 -2.50930 -2.32429 0.07 -0.16 -0.10
C -5.01834 -2.43633 -2.71691 0.02 -0.02 -0.05
C -5.34594 -2.66100 -4.04530 0.00 0.01 0.03
C -4.34706 -2.93900 -4.97094 0.04 0.00 0.01
C -3.01937 -2.99181 -4.57012 -0.02 0.00 0.01
C -2.68200 -2.77423 -3.23985 -0.07 0.00 -0.02
H -4.68496 -3.96386 -0.23066 0.01 -0.02 0.05
H -3.76234 -3.49065 1.20561 0.08 -0.03 -0.01
H -2.37144 -4.74335 -1.21712 0.03 0.03 0.02
H -3.18764 -5.79381 -0.09521 -0.01 0.00 0.01
H -1.58253 -5.54264 1.57404 -0.03 -0.01 -0.02
H -1.28919 -3.87562 1.21556 0.16 -0.18 -0.22
H -0.31323 -6.28226 -0.50623 -0.10 -0.01 0.08
H 0.68869 -5.41124 0.68690 0.00 -0.01 -0.04
H 3.19534 -4.20735 -0.81456 0.01 0.01 0.01
H 5.03344 -5.50617 -1.90884 0.00 0.00 0.01
H 4.50060 -7.09403 -3.72364 0.00 0.00 0.00
H 2.16179 -7.39536 -4.46589 0.00 0.00 0.00
H 0.34766 -6.09798 -3.38092 -0.01 0.00 0.01
H -5.78988 -2.19111 -1.99602 0.01 0.00 0.02
H -6.37941 -2.60313 -4.36144 0.00 0.00 -0.01
H -4.60362 -3.10171 -6.00984 -0.01 0.00 0.00
H -2.24251 -3.19670 -5.29598 0.01 0.00 0.00
H -1.65528 -2.80050 -2.89666 0.01 0.00 0.00
C -0.85959 2.85389 3.44662 0.06 -0.02 -0.06
As -0.47260 3.28127 1.57311 0.01 -0.09 0.40
C 0.92756 4.60139 1.98507 -0.01 -0.02 -0.11
C -2.05441 4.46602 1.38410 -0.02 0.02 -0.25
C -2.28695 5.20948 0.05498 -0.06 0.04 0.03
C -1.00383 5.81205 -0.51956 -0.01 0.03 -0.08
C -2.92566 4.30410 -1.02367 -0.07 -0.05 0.04
As -2.09762 2.84556 -2.08167 0.17 -0.04 -0.15
C -2.36389 1.30510 -0.91625 -0.25 -0.08 0.06
C -0.14878 3.02117 -1.92012 0.03 -0.13 -0.18
C -3.34103 6.33704 0.24639 0.10 -0.10 0.13
As -3.28841 7.84479 1.55119 0.02 -0.10 -0.07
C -3.94685 6.95297 3.17723 -0.02 0.06 -0.05
C -1.41795 8.08281 2.11934 -0.14 0.11 -0.06
H -0.91343 3.77819 4.02538 -0.01 -0.02 0.04
H -0.06647 2.21720 3.83999 -0.03 0.06 -0.03
H -1.79901 2.31146 3.50836 -0.04 -0.06 0.01
H 0.61473 5.28607 2.77342 -0.04 0.03 0.05
H 1.20386 5.17287 1.10149 0.04 0.02 -0.02
H 1.79264 4.03087 2.32441 -0.04 0.08 0.03
H -1.99831 5.17633 2.20290 0.08 0.18 0.13
H -2.91890 3.82695 1.59548 0.02 0.00 -0.01
H -0.23807 5.05105 -0.64909 -0.05 0.11 0.05
== The entry goes on ==
There are two demand relationships that are important in product line pricing. The first is the interdependence of the demand for various members of the product line. This interdependence may result from their nature as substitute or complementary products. The second demand characteristic is the importance of the products as instruments for market segmentation’s and price discrimination. Product line pricing has also to take account of competitive differences in respect to the different products in the line. The number of competitors, the extent of the firm’s market share and the degree of substitutability of the competitors product are symptoms with which the existing competition can be measured and the price adjusted accordingly.
The relevant concept of cost applicable in product line pricing is incremental cost. Normally, the incremental costs of each members of the product line can be compared with its price. The margin between incremental costs and price will differ greatly from products to product depending on various conditions. Incremental cost set a floor below which the price should not go normally. Sometimes strategic considerations warrant the continuance of a product in a line even when its contribution to the profit margin is below average, such a product may be “loss-limiter” (i.e. it completes a product line by offering a fall range of colors sizes, design etc.) or “price meter” (i.e. its role is to carry out the firms’ policy of meeting every competitive price with some member of the product line).